Prices of products sold in the store FOROFOS include I.V.A. (Value Added Tax). Prices do not include shipping charges.
The purchases made within the member countries of the European Economic Community are subject to I.V.A. For purchases made in countries outside the European Economic Community, Canary Islands, Ceuta and Melilla the prices listed in the store buffs are net prices.
Customs taxes are responsibility of the customer. We have no control over these charges nor can we predict theiramount. Forofos are not responsible for any customs fees thatmay be charged to the customer.
The purchasing system is subject to spanish legislation, so sales are considered as if taken place al FOROFOS´s shop, Coso alto 30-32. Pasaje. 22003 Huesca (Spain).
- Looking for items: On the left side of the website there is a dropdown menu where you can find items listed by families. Clicking on a family, you have access to a submenu which displays any items in the category. You can also browse items using the Product Finder located at the top of the page. Enter the keyword in the seeking form, select the drop-down family and click the OK button. You will see all the terms containing the keyword you have entered.
- Add items to Shopping Cart: When you find the item you are interested in, just click on the button (to buy), then the article is added to your shopping cart, a window appears with the article, the requested units and the price. While browsing the site you can always make your purchase by clicking on the icon of the basket. Here you can modify items, and see the amount of your order.
In some products there appears a pulldown menu (size) where you have to choose its size.
In the shopping cart you can continue shopping or placing an order, then you can end it up your complete purchase by clicking on the checkout button.
- Place an order: You must fill in all the boxes with your personal information so that your order be properly sent. Select one of the forms of payment that you are offered, payment on delivery, credit card, bank transfer or Paypal and the shipping method. If you choose a credit card you should connect to the payment gateway 3D-Secure and you must have a credit card, VISA or MASTERCARD.
By bank transfer, we will send you an e-mail, indicating the bank account number where to transfer. Finally click on the button to send your order.
Once your order has been processed, on the screen will all the shipment data will be displayed, the items purchased with their prices and the postage. Within 48 hours you will receive an order confirmation by e-mail, then only you can be sure that we have the items requested. Due to the large number of products offered on the page, it may happen that an item listed as available is at that time is out of stock, in that case we will send you an e-mail indicating the product is not available for the moment.
You can also make requests by telephone at 0034 974 238 888.
- The cost of shipping to Spain is a fixed one, no matter the number of products purchased or their weight. Shipping charges have I.V.A. included.
- Shipping to Spain: by SEUR transport agency. The delivery time is 24/48 hours, from Monday to Friday. The price of shipping to mainland Spain is 5 €.
- To Canary Islands, Balearic Islands, Ceuta and Melilla shipments will only be made by regular mail, up to 2 kg of weight per package. Delivery time is about 3 or 5 week days and the price is 5 €.
- For the Canary Islands, Ceuta and Melilla the payment is by credit card, PayPal or bank transfer.
- For purchases over 50 €, shipping costs are free to Spain.
- If the order is made before 1 pm (Monday to Friday) the product required will be shipped on the same day. After 1 pm, next week day. Delivery times are calculated for week days but they may be affected by local or national holidays, no deliveries are made on Saturdays, Sundays or holidays.
- If the form of payment is by bank transfer, the shipping will nor be carried out until we have the bank confirmation of the transfer.
Attached: records of crystals.
'''
(1)
Diffraction record for LaMg7. The XRD peak list is theoretical, not measured: it uses a structure optimized by DFT (GGA-PBE) and λ = 1.5418 Å (Cu Kα).
No peak broadening, texture or thermal motion is included.

Principal peaks in the range 2θ from 10° to 90°, by angle:
(1 0 0), 15.14°, d = 5.851 Å, I 57
(1 0 1), 22.83°, d = 3.894 Å, I 50
(2 0 0), 30.56°, d = 2.925 Å, I 32
(1 1 1), 31.55°, d = 2.836 Å, I 21
(0 0 2), 34.37°, d = 2.609 Å, I 23
(2 0 1), 35.17°, d = 2.552 Å, I 100
(2 0 2), 46.63°, d = 1.948 Å, I 23
(2 2 0), 54.34°, d = 1.688 Å, I 28
(2 0 3), 62.08°, d = 1.495 Å, I 18
(2 2 2), 65.88°, d = 1.418 Å, I 19

Structural model:
Lattice parameters (Å, degrees): 6.7559 6.7559 5.2184 90.00 90.00 120.00
Space group P-6m2 (No. 187)
Unique sites:
La 0.0000 0.0000 0.0000 (multiplicity 1)
Mg 0.0085 0.5043 0.0000 (multiplicity 3)
Mg 0.1723 0.3445 0.5000 (multiplicity 3)
Mg 0.6667 0.3333 0.5000 (multiplicity 1)

(2)
Diffraction record for La2Mg. The XRD peak list is theoretical, not measured: it uses a structure optimized by DFT (GGA-PBE) and λ = 1.5418 Å (Cu Kα).
No peak broadening, texture or thermal motion is included.

Principal peaks in the range 2θ from 10° to 90°, by angle:
(1 1 0), 17.20°, d = 5.156 Å, I 31
(2 0 0), 19.42°, d = 4.571 Å, I 26
(3 1 -1), 28.70°, d = 3.111 Å, I 23
(0 0 2), 31.15°, d = 2.871 Å, I 38
(3 1 0), 32.67°, d = 2.741 Å, I 100
(3 1 -2), 32.78°, d = 2.732 Å, I 50
(0 2 2), 42.80°, d = 2.113 Å, I 16
(3 3 -1), 50.70°, d = 1.800 Å, I 19
(3 1 2), 56.38°, d = 1.632 Å, I 21
(3 3 1), 60.72°, d = 1.525 Å, I 22

Structural model:
Lattice parameters (Å, degrees): 10.763 6.245 6.761 90.00 121.86 90.00
Space group C2/c (No. 15)
Unique sites:
La 0.168 0.083 0.252 (multiplicity 8)
Mg 0.000 0.418 0.750 (multiplicity 4)

(3)
Diffraction record for La2Mg. The XRD peak list is theoretical, not measured: it uses a structure optimized by DFT (GGA-PBE) and λ = 1.5418 Å (Cu Kα).
No peak broadening, texture or thermal motion is included.

Principal peaks in the range 2θ from 10° to 90°, by angle:
(1 1 0), 16.35°, d = 5.423 Å, I 16
(1 1 1), 22.69°, d = 3.919 Å, I 51
(3 1 0), 28.38°, d = 3.144 Å, I 23
(0 0 2), 31.56°, d = 2.835 Å, I 38
(3 1 1), 32.56°, d = 2.750 Å, I 100
(0 2 1), 32.75°, d = 2.735 Å, I 63
(3 1 2), 42.96°, d = 2.105 Å, I 15
(3 3 0), 50.49°, d = 1.808 Å, I 19
(3 1 3), 56.84°, d = 1.620 Å, I 20
(3 3 2), 60.77°, d = 1.524 Å, I 22

Structural model:
Lattice parameters (Å, degrees): 10.917 6.248 5.669 90.00 90.00 90.00
Space group Cmcm (No. 63)
Unique sites:
La 0.153 0.169 0.250 (multiplicity 8)
Mg 0.000 0.341 0.750 (multiplicity 4)

(4)
Diffraction record for LaMg2. The XRD peak list is theoretical, not measured: it uses a structure optimized by DFT (GGA-PBE) and λ = 1.5418 Å (Cu Kα).
No peak broadening, texture or thermal motion is included.

Principal peaks in the range 2θ from 10° to 90°, by angle:
(1 0 0), 16.30°, d = 5.438 Å, I 36
(1 0 1), 18.63°, d = 4.763 Å, I 46
(1 1 0), 28.43°, d = 3.140 Å, I 74
'''
- Shipping outside of Spain will only be made by regular mail and can not be made by payment on delivery. The delivery time will depend on the different countries. The shipping price for outside of Spain depends on package weight and destination. The following table shows the prices:
COUNTRY | 0 TO 350 GRAMS | 350 TO 800 GRAMS | 800 TO 1700 GRAMS | 1700 TO 25000 GRAMS |
PORTUGAL | 6 € | 6 € | 6 € | 6 € |
BELGIUM, GERMANY, LUXEMBOURG, NETHERLANDS | 8 € | 10 € | 10 € | 10 € |
AUSTRIA, FRANCE, ITALY, POLAND | 8 € | 12 € | 12 € | 12 € |
DENMARK, CZECH REPUBLIC, UNITED KINGDOM | 8 € | 13 € | 13 € | 13 € |
Inserted here: data records >
........
The following is a simulated X-ray powder pattern of K3NaAg. It was derived from the GGA-PBE geometry in Alexandria, using Cu Kα.
Neutral-atom scattering factors, no anomalous dispersion.

Top 6 peaks for 2θ = 10–90°, low angle first:
d/Å, 2θ/deg, I/Imax
6.986, 12.67, 751
4.783, 18.55, 690
3.436, 25.93, 1000
3.337, 26.72, 668
2.740, 32.68, 471
2.663, 33.66, 650

a = 13.972 Å, b = 13.972 Å, c = 5.090 Å
α = 90.00°, β = 90.00°, γ = 90.00°
Space group P4_2/mnm (No. 136)
Asymmetric unit:
1 K 0.019 0.320 0.000 x8
2 K 0.107 0.893 0.500 x4
3 Na 0.176 0.176 0.500 x4
4 Ag 0.072 0.072 0.000 x4


The following is a simulated X-ray powder pattern of CuSnIrO6. It was derived from the GGA-PBE geometry in Alexandria, using Cu Kα.
Neutral-atom scattering factors, no anomalous dispersion.

Top 6 peaks for 2θ = 10–90°, low angle first:
d/Å, 2θ/deg, I/Imax
4.339, 20.47, 421
3.143, 28.40, 1000
2.631, 34.07, 673
2.250, 40.08, 514
2.018, 44.93, 288
1.674, 54.85, 563

a = 5.2629 Å, b = 5.2629 Å, c = 8.6776 Å
α = 90.00°, β = 90.00°, γ = 120.00°
Space group P-31c (No. 163)
Asymmetric unit:
1 Cu 0.0000 0.0000 0.0000 x2
2 Sn 0.3333 0.6667 0.2500 x2
3 Ir 0.3333 0.6667 0.7500 x2
4 O 0.0203 0.3611 0.6256 x12


The following is a simulated X-ray powder pattern of Zr10NiSnSb4. It was derived from the GGA-PBE geometry in Alexandria, using Cu Kα.
Neutral-atom scattering factors, no anomalous dispersion.

Top 6 peaks for 2θ = 10–90°, low angle first:
d/Å, 2θ/deg, I/Imax
2.710, 33.05, 369
2.504, 35.86, 465
2.487, 36.12, 418
2.439, 36.84, 1000
2.273, 39.66, 261
1.529, 60.55, 226

a = 11.198 Å, b = 11.198 Å, c = 5.551 Å
α = 90.00°, β = 90.00°, γ = 90.00°
Space group I422 (No. 97)
Asymmetric unit:
1 Zr 0.000 0.500 0.000 x4
2 Zr 0.076 0.216 0.258 x16
3 Ni 0.000 0.000 0.500 x2
4 Sn 0.000 0.000 0.000 x2
5 Sb 0.164 0.336 0.750 x8

----------

Diffraction record for Ac2HgBi4. The powder X-ray diffraction pattern is computed, not measured: it uses a crystal structure in Alexandria, relaxed with GGA-PBE and Cu Kα (weighted mean of Kα1 and Kα2).
Kinematic intensities with the Lorentz-polarization factor, no thermal factor.

Most intense lines, 10 to 90 degrees two-theta, by intensity:
- hkl 1 1 2, 31.30 deg, intensity 100.0
- hkl 2 0 0, 37.54 deg, intensity 36.1
- hkl 3 1 2, 63.87 deg, intensity 25.9
- hkl 0 0 3, 25.05 deg, intensity 22.9
- hkl 2 0 3, 45.67 deg, intensity 14.0
- hkl 1 1 1, 27.63 deg, intensity 12.9
- hkl 2 2 0, 54.13 deg, intensity 12.9
- hkl 2 0 4, 51.32 deg, intensity 11.7
- hkl 1 0 5, 46.70 deg, intensity 10.5
- hkl 2 1 5, 61.39 deg, intensity 9.5
- hkl 0 0 4, 33.69 deg, intensity 9.3
- hkl 1 0 1, 20.32 deg, intensity 7.0

Structural model:
Unit cell a=4.792 b=4.792 c=10.642 alpha=90.00 beta=90.00 gamma=90.00
Fractional coordinates of all 7 atoms:
Ac (0.000, 0.500, 0.244)
Ac (0.500, 0.000, 0.756)
Hg (0.500, 0.500, 0.000)
Bi (0.000, 0.000, 0.500)
Bi (0.000, 0.500, 0.826)
Bi (0.500, 0.000, 0.174)
Bi (0.500, 0.500, 0.500)
........
BULGARIA, GREECE, FINLAND, ROMANIA | 8 € | 15 € | 22 € | 40 € |
REST OF THE WORLD | 12 € | 22 € | 36 € | NO |
You can choose one of 4 forms of payment that suits you best.
- COD: Payment is made in cash to the dealer at the time of receiving the order.
- Credit Card: We use the secure payment system known as ESC (Electronic Commerce Security). All cardholders with a "securized" credit card can always make payments with VISA or MASTERCARD in our store. In case your card is not attached to this payment system. FOROFOS will only allow payment to be made with VISA or MASTERCARD, when they are reliable customers.
In both cases, when you pay with VISA or MASTERCARD you are always ask for the following data: the card number, expiration date, and the check digit (last 3 digits of number on the back of the credit card ). The data on your credit card are not recorded in any database but goes directly to the POS (Point of Sale Terminal Bank). When paying with a ¨securized¨ VISA or MASTERCARD, besides the number and expiration date, a personal password used exclusively for Internet purchases is demanded for.
If you have not a personal password used exclusively for online payments, we advise you to apply for I a Secure Electronic Commerce Card at your financial institution. Operations are performed using a secure server based on the standard security technology SSL encrypts data that meets all Data Protection legislation.
- Bank Transfer: When choosing this form of payment we will send you an e-mail, indicating the bank account number where to transfer. In that case you will have to enter your name. At the moment we have got the bank transfer confirmation we will ship the order.
-PayPal: When you decide to make a purchase and pay by PayPal, we will send a secure payment platform PayPal for the customer to be identified as PayPal. PayPal is a fast and secure way to pay online without revealing your credit card numbers.
Shipping abroad can not be made by payment on delivery.
The items offered in the virtual store FOROFOS are garanteed by major commercial firms. Offering the highest quality and guarantee is the commitment we have with our customers.
If on receiving the product, you are not satisfied, you can return it back under the following conditions:
1 – Returned items are only accepted within the 15 days after receiving the product, after this time it will not be accept any returned item. The present legislation in Spain commands goods to be return within 15 days.
2 -- The purchase amount will be paid back if the article is in perfect condition and retains its original packaging. Shipping costs are at the customer´s expense.
3 -- Postage will not be refunded.
4 – It will not be accepted the those items that have been manipulated or show any damage or defect.
5 -- The refund of the purchase is made, once the articles received, in the same way as it has been paid.
If you want to change or return an order, shipping back to Huesca (Spain) will always be at your own expense, provided it is not a mistake made by
To return an item, customers must contact us via email or by telephone at 974 238 888.
If you have any questions o problems, the best way to get in touch with us is by email, you will be answered within 48 hours. Our email address is
You can also contact us by telephone at 0034 974 238 888. Your call will be answered from Monday to Saturday, from 10.00 to 20.30.
Our mailing address is:
Coso alto 30-32. Pasaje.
22003 - Huesca (Spain).
In order to offer our customers all the security in the purchasing process, FOROFOS use the Secure Server SSL SECURED “THAWTE ". Thanks to this protocol all communication between the client and FOROFOS remains secure, the encrypting of information between the two parties, with a length of 128 bits, the protection of personal data, credit card data, account numbers, etc..
Almost all large companies (95% of the FORTUNE 500) uses SSL to protect your web, and show users that they can trust them. Certificates THAWTE have passed the quality control of the most important software development companies and are free of any problems that could take away the validity, such as those caused by the effect 2,000.
MICROSOFT has recognized IPS as Root Certification Authority and includes THAWTE within the Certification Authorities Software solutions.
The traffic on the Internet is protected, without possibility of being intercepted for fraudulent purposes, as it can be seen in the tap shown in the browser when accessing to buy.